Job
Could you restate only the lines further below with the word "diffraction" in them?
File
┌──
[1]
Li4Cu2Ir3: calculated powder X-ray diffraction pattern (Cu Kα), based on DFT lattice parameters and positions (GGA-PBE).

Top 6 peaks for 10° ≤ 2θ ≤ 90°, in order of rising 2θ:
2θ = 24.0°, d 3.703, I = 100
2θ = 42.3°, d 2.138, I = 51
2θ = 44.1°, d 2.054, I = 72
2θ = 49.2°, d 1.852, I = 15
2θ = 62.7°, d 1.481, I = 25
2θ = 78.5°, d 1.218, I = 18

Structure:
abc: 7.402 7.402 4.936
angles: 90.00 90.00 119.89
Positions (direct):
1 Li 0.160 0.168 0.000
2 Li 0.167 0.501 0.000
3 Li 0.168 0.160 0.500
4 Li 0.499 0.833 0.500
5 Li 0.501 0.167 0.500
6 Li 0.832 0.840 0.500
7 Li 0.833 0.499 0.000
8 Li 0.840 0.832 0.000
9 Cu 0.163 0.489 0.500
10 Cu 0.489 0.163 0.000
11 Cu 0.511 0.837 0.000
12 Cu 0.837 0.511 0.500
13 Ir 0.171 0.829 0.250
14 Ir 0.171 0.829 0.750
15 Ir 0.500 0.500 0.250
16 Ir 0.500 0.500 0.750
17 Ir 0.829 0.171 0.250
18 Ir 0.829 0.171 0.750

***

[2]
Nb3H: calculated powder X-ray diffraction pattern (Cu Kα), based on DFT lattice parameters and positions (GGA-PBE).

Top 6 peaks for 10° ≤ 2θ ≤ 90°, in order of rising 2θ:
2θ = 34.2°, d 2.622, I = 93
2θ = 34.3°, d 2.611, I = 86
2θ = 34.9°, d 2.573, I = 100
2θ = 39.9°, d 2.260, I = 67
2θ = 40.0°, d 2.253, I = 74
2θ = 47.7°, d 1.905, I = 86

Structure:
abc: 2.774 2.787 7.719
angles: 90.00 90.00 90.00
Positions (direct):
1 Nb 0.000 0.000 0.000
2 Nb 0.000 0.500 0.351
3 Nb 0.500 0.500 0.692
4 H 0.500 0.000 0.249

***

[3]
BiRh3S2: calculated powder X-ray diffraction pattern (Cu Kα), based on DFT lattice parameters and positions (GGA-PBE).

Top 6 peaks for 10° ≤ 2θ ≤ 90°, in order of rising 2θ:
2θ = 23.8°, d 3.738, I = 60
2θ = 34.6°, d 2.590, I = 100
2θ = 46.5°, d 1.952, I = 30
2θ = 49.3°, d 1.850, I = 51
2θ = 52.9°, d 1.730, I = 28
2θ = 88.3°, d 1.106, I = 20

Structure:
abc: 3.904 3.904 14.953
angles: 90.00 90.00 90.00
Positions (direct):
1 Bi 0.000 0.000 0.000
2 Bi 0.500 0.500 0.500
3 Rh 0.000 0.000 0.500
4 Rh 0.000 0.500 0.250
5 Rh 0.000 0.500 0.750
6 Rh 0.500 0.000 0.250
7 Rh 0.500 0.000 0.750
8 Rh 0.500 0.500 0.000
9 S 0.000 0.000 0.342
10 S 0.000 0.000 0.658
11 S 0.500 0.500 0.158
12 S 0.500 0.500 0.842

***

[4]
Th4Pd7Pt6: calculated powder X-ray diffraction pattern (Cu Kα), based on DFT lattice parameters and positions (GGA-PBE).

Top 6 peaks for 10° ≤ 2θ ≤ 90°, in order of rising 2θ:
2θ = 29.1°, d 3.067, I = 13
2θ = 32.6°, d 2.743, I = 15
2θ = 35.9°, d 2.504, I = 100
2θ = 41.6°, d 2.169, I = 57
2θ = 60.4°, d 1.534, I = 31
2θ = 72.2°, d 1.308, I = 27

Structure:
abc: 7.513 7.513 7.513
angles: 109.47 109.47 109.47
Positions (direct):
1 Th 0.000 0.000 0.500
2 Th 0.000 0.500 0.000
3 Th 0.500 0.000 0.000
4 Th 0.500 0.500 0.500
5 Pd 0.000 0.000 0.000
6 Pd 0.250 0.500 0.750
7 Pd 0.250 0.750 0.500
8 Pd 0.500 0.250 0.750
9 Pd 0.500 0.750 0.250
10 Pd 0.750 0.250 0.500
11 Pd 0.750 0.500 0.250
12 Pt 0.000 0.299 0.299
13 Pt 0.000 0.701 0.701
14 Pt 0.299 0.000 0.299
15 Pt 0.299 0.299 0.000
16 Pt 0.701 0.000 0.701
17 Pt 0.701 0.701 0.000

***

[5]
La3Ho7: calculated powder X-ray diffraction pattern (Cu Kα), based on DFT lattice parameters and positions (GGA-PBE).

Top 6 peaks for 10° ≤ 2θ ≤ 90°, in order of rising 2θ:
2θ = 30.3°, d 2.953, I = 21
2θ = 31.4°, d 2.852, I = 54
2θ = 31.5°, d 2.842, I = 100
2θ = 31.8°, d 2.814, I = 95
2θ = 55.9°, d 1.645, I = 20
2θ = 61.9°, d 1.498, I = 29

Structure:
abc: 8.858 8.858 7.039
angles: 101.67 101.67 37.57
Positions (direct):
1 La 0.000 0.000 0.000
2 La 0.216 0.216 0.849
3 La 0.784 0.784 0.151
4 Ho 0.000 0.000 0.500
5 Ho 0.210 0.210 0.358
6 Ho 0.399 0.399 0.203
7 Ho 0.403 0.403 0.691
8 Ho 0.597 0.597 0.309
9 Ho 0.601 0.601 0.797
10 Ho 0.790 0.790 0.642

***

[6]
Pu2H6PdRu: calculated powder X-ray diffraction pattern (Cu Kα), based on DFT lattice parameters and positions (GGA-PBE).

Top 6 peaks for 10° ≤ 2θ ≤ 90°, in order of rising 2θ:
2θ = 25.9°, d 3.439, I = 23
2θ = 30.8°, d 2.901, I = 46
2θ = 33.6°, d 2.670, I = 43
2θ = 34.3°, d 2.612, I = 100
2θ = 61.0°, d 1.519, I = 16
2θ = 61.5°, d 1.508, I = 19
└──
Result
Li4Cu2Ir3: calculated powder X-ray diffraction pattern (Cu Kα), based on DFT lattice parameters and positions (GGA-PBE).
Nb3H: calculated powder X-ray diffraction pattern (Cu Kα), based on DFT lattice parameters and positions (GGA-PBE).
BiRh3S2: calculated powder X-ray diffraction pattern (Cu Kα), based on DFT lattice parameters and positions (GGA-PBE).
Th4Pd7Pt6: calculated powder X-ray diffraction pattern (Cu Kα), based on DFT lattice parameters and positions (GGA-PBE).
La3Ho7: calculated powder X-ray diffraction pattern (Cu Kα), based on DFT lattice parameters and positions (GGA-PBE).
Pu2H6PdRu: calculated powder X-ray diffraction pattern (Cu Kα), based on DFT lattice parameters and positions (GGA-PBE).